Brief:
Your job: echo the block below word for word.

Source:
********
Record 1
Below is a relaxed structure of CrNi3Sb4, with properties calculated at the PBE level.

Cell lengths 4.0018, 4.0018, 10.5291 Å; angles 90.00, 90.00, 120.00 degrees
With the nearest neighbours (Å) after each atom.
Space group P-3m1 (No. 164)
Inequivalent atoms, fractional coordinates:
Cr 0.0000 0.0000 0.0000  2 Ni 2.66, 6 Sb 2.75
Ni 0.0000 0.0000 0.2526  6 Sb 2.59-2.67, 1 Ni 2.61, 1 Cr 2.66
Ni 0.0000 0.0000 0.5000  2 Ni 2.61, 6 Sb 2.64
Sb 0.3333 0.6667 0.1408  3 Ni 2.59, 3 Cr 2.75
Sb 0.3333 0.6667 0.6212  6 Ni 2.64-2.67

Output
Size of the total moment   3.2 μB per cell
Calculated formation energy   -203 kJ/mol of formula units

---

Record 2
Below is a relaxed structure of Cr2NiSe4, with properties calculated at the PBE level.

Cell lengths 12.6695, 3.6070, 6.2938 Å; angles 90.00, 117.46, 90.00 degrees
With the nearest neighbours (Å) after each atom.
Space group C2/m (No. 12)
Inequivalent atoms, fractional coordinates:
Cr 0.2400 0.0000 0.2190  6 Se 2.48-2.59
Ni 0.0000 0.5000 0.5000  6 Se 2.51
Se 0.1164 0.5000 0.9483  3 Cr 2.48-2.49, 1 Ni 2.51
Se 0.1321 0.0000 0.4748  2 Ni 2.51, 3 Cr 2.55-2.59

Output
Size of the total moment   9.0 μB per cell
Calculated formation energy   -471 kJ/mol of formula units

---

Record 3
Below is a relaxed structure of Cr3SiNi2, with properties calculated at the PBE level.

Cell lengths 10.3773, 10.3773, 10.3773 Å; angles 90.00, 90.00, 90.00 degrees
With the nearest neighbours (Å) after each atom.
Space group Fd-3m (No. 227, origin choice 2)
Inequivalent atoms, fractional coordinates:
Cr 0.0473 0.3750 0.3750  2 Ni 2.42, 4 Cr 2.53
Si 0.0000 0.0000 0.5000  6 Ni 2.26
Ni 0.0399 0.0399 0.7101  3 Si 2.26, 3 Cr 2.42, 3 Ni 2.50

Output
Size of the total moment   0.0 μB per cell
Calculated formation energy   -31 kJ/mol of formula units

* * * * *

LaH3S3O12 | PBE | relaxed

Lattice parameters (Å, degrees): 9.613 9.613 6.003 90.00 90.00 120.00
Positions (direct):
La  0.333  0.667  0.000
La  0.667  0.333  0.500
H  0.067  0.224  0.113
H  0.157  0.933  0.113
H  0.224  0.157  0.613
H  0.776  0.843  0.113
H  0.843  0.067  0.613
H  0.933  0.776  0.613
S  0.095  0.699  0.505
S  0.301  0.396  0.505
S  0.396  0.095  0.005
S  0.604  0.905  0.505
S  0.699  0.604  0.005
S  0.905  0.301  0.005
O  0.018  0.813  0.500
O  0.035  0.467  0.005
O  0.187  0.205  0.500
O  0.191  0.749  0.300
O  0.194  0.741  0.706
O  0.205  0.018  0.000
O  0.251  0.442  0.300
O  0.259  0.453  0.706
O  0.432  0.965  0.005
O  0.442  0.191  0.800
O  0.453  0.194  0.206
O  0.467  0.432  0.505
O  0.533  0.568  0.005
O  0.547  0.806  0.706
O  0.558  0.809  0.300
O  0.568  0.035  0.505
O  0.741  0.547  0.206
O  0.749  0.558  0.800
O  0.795  0.982  0.500
O  0.806  0.259  0.206
O  0.809  0.251  0.800
O  0.813  0.795  0.000
O  0.965  0.533  0.505
O  0.982  0.187  0.000

For the calculated volume, the calculation gives 12.64 A^3/atom. The calculation puts the total DFT energy (no corrections) at -117.399 eV/f.u.
********

Response:
Record 1
Below is a relaxed structure of CrNi3Sb4, with properties calculated at the PBE level.

Cell lengths 4.0018, 4.0018, 10.5291 Å; angles 90.00, 90.00, 120.00 degrees
With the nearest neighbours (Å) after each atom.
Space group P-3m1 (No. 164)
Inequivalent atoms, fractional coordinates:
Cr 0.0000 0.0000 0.0000  2 Ni 2.66, 6 Sb 2.75
Ni 0.0000 0.0000 0.2526  6 Sb 2.59-2.67, 1 Ni 2.61, 1 Cr 2.66
Ni 0.0000 0.0000 0.5000  2 Ni 2.61, 6 Sb 2.64
Sb 0.3333 0.6667 0.1408  3 Ni 2.59, 3 Cr 2.75
Sb 0.3333 0.6667 0.6212  6 Ni 2.64-2.67

Output
Size of the total moment   3.2 μB per cell
Calculated formation energy   -203 kJ/mol of formula units

---

Record 2
Below is a relaxed structure of Cr2NiSe4, with properties calculated at the PBE level.

Cell lengths 12.6695, 3.6070, 6.2938 Å; angles 90.00, 117.46, 90.00 degrees
With the nearest neighbours (Å) after each atom.
Space group C2/m (No. 12)
Inequivalent atoms, fractional coordinates:
Cr 0.2400 0.0000 0.2190  6 Se 2.48-2.59
Ni 0.0000 0.5000 0.5000  6 Se 2.51
Se 0.1164 0.5000 0.9483  3 Cr 2.48-2.49, 1 Ni 2.51
Se 0.1321 0.0000 0.4748  2 Ni 2.51, 3 Cr 2.55-2.59

Output
Size of the total moment   9.0 μB per cell
Calculated formation energy   -471 kJ/mol of formula units

---

Record 3
Below is a relaxed structure of Cr3SiNi2, with properties calculated at the PBE level.

Cell lengths 10.3773, 10.3773, 10.3773 Å; angles 90.00, 90.00, 90.00 degrees
With the nearest neighbours (Å) after each atom.
Space group Fd-3m (No. 227, origin choice 2)
Inequivalent atoms, fractional coordinates:
Cr 0.0473 0.3750 0.3750  2 Ni 2.42, 4 Cr 2.53
Si 0.0000 0.0000 0.5000  6 Ni 2.26
Ni 0.0399 0.0399 0.7101  3 Si 2.26, 3 Cr 2.42, 3 Ni 2.50

Output
Size of the total moment   0.0 μB per cell
Calculated formation energy   -31 kJ/mol of formula units

* * * * *

LaH3S3O12 | PBE | relaxed

Lattice parameters (Å, degrees): 9.613 9.613 6.003 90.00 90.00 120.00
Positions (direct):
La  0.333  0.667  0.000
La  0.667  0.333  0.500
H  0.067  0.224  0.113
H  0.157  0.933  0.113
H  0.224  0.157  0.613
H  0.776  0.843  0.113
H  0.843  0.067  0.613
H  0.933  0.776  0.613
S  0.095  0.699  0.505
S  0.301  0.396  0.505
S  0.396  0.095  0.005
S  0.604  0.905  0.505
S  0.699  0.604  0.005
S  0.905  0.301  0.005
O  0.018  0.813  0.500
O  0.035  0.467  0.005
O  0.187  0.205  0.500
O  0.191  0.749  0.300
O  0.194  0.741  0.706
O  0.205  0.018  0.000
O  0.251  0.442  0.300
O  0.259  0.453  0.706
O  0.432  0.965  0.005
O  0.442  0.191  0.800
O  0.453  0.194  0.206
O  0.467  0.432  0.505
O  0.533  0.568  0.005
O  0.547  0.806  0.706
O  0.558  0.809  0.300
O  0.568  0.035  0.505
O  0.741  0.547  0.206
O  0.749  0.558  0.800
O  0.795  0.982  0.500
O  0.806  0.259  0.206
O  0.809  0.251  0.800
O  0.813  0.795  0.000
O  0.965  0.533  0.505
O  0.982  0.187  0.000

For the calculated volume, the calculation gives 12.64 A^3/atom. The calculation puts the total DFT energy (no corrections) at -117.399 eV/f.u.